City of Sacramento Approves Car Wash in Transit Oriented Development – Here’s Why We’re Concerned

On Thursday, May 24th, the City of Sacramento Planning & Design Commission approved the development of a Quick Quack Car Wash in the College Square South site on Bruceville Road just east of Cosumnes River College. The project site is within 1/4 of a mile of a light rail station and designated as a Transit Oriented Development (TOD) commercial site where the City states it “shall discourage low-intensity and auto-oriented uses around transit stations.” After testimony in opposition from the Sacramento Air District, Sacramento Area Council of Governments, Regional Transit, WALKSacramento, and the Sacramento Area Bicycle Advocates, the planning commissioners expressed their sincerest support of Transit Oriented Development but still approved this project. Actions speak louder than words.

Part of the Planning Commission’s argument for approving this car-only use was that the site itself did not look like a TOD. Although the development is bordered by two arterial roadways, it is proximate to several hundred existing and future planned residential units. Their argument also referenced the two adjacent drive-through restaurant projects which the Commission approved in 2017. Furthermore, the Commission expressed concern that the parcel had remained undeveloped for 10 years (following the market crash) because the developer had not proposed a use that was more reflective of the City’s policies for creating walkable, neighborhood serving uses.

Aside from the clear health and environmental justice issues, we are concerned about this decision for several reasons:

  1. Despite the attendance of dozens of residents from this neighborhood at the hearing in 2017 expressing their desire to see more community serving businesses rather than the two drive-through restaurants, tonight’s Planning Commission still approved this project, in part citing that very decision as justification.
  2. City staff in partnership with agencies and groups like the Air District, RT, SACOG, and the Urban Lands Institute are working to strengthen its own TOD policies and to incentivize more mixed uses near transit. The College Square car wash approval sends a message to both developers and State funders that the City is not serious about upholding its own policies and goals around quality of life, air quality, and sustainability. Many of our State funders live in Sacramento and watch the actions that are made in their own communities. As such, we must act with the utmost integrity with our planning decisions. Decisions like these may hurt our ability to make further needed transportation investments in other parts of the City
  3. We do not see the role of the City Planning Commission as being the facilitator of economic development, but rather, as upholding the City’s own policies and ensuring development that is consistent with City and regional goals, community input, and best practices. As the Commission’s lone dissenter, commissioner Wang-Connelly stated, “The City’s planning horizons are much longer [than 10 years]” and as such, should make its decisions based on established policy. The charge of the City Planning Commission is not to create quasi-public policy but to support approved guidelines and law.
  4. After being approved by the Planning & Design Commission, the City Council previously fought vehemently to oppose a development that proposed a multi-pump Safeway gas station within a TOD in Curtis Park, a far more affluent community. We ask, why the inconsistency with the City Council that appointed this Commission? Would the City Council similarly oppose this project?

Ultimately, it is true that the surrounding area is car oriented. However, to use that fact to give up on promoting Transit Oriented Development sets a troubling precedent for the rest of the City’s many suburban TOD sites with similar characteristics. Up and down California, communities from Los Angeles to the Bay Area are working to densify suburban communities and develop in a more transit oriented way. Examples from Dublin, Fremont, and San Diego show that suburban TOD is not only possible but highly lucrative. No one project will create a more walkable,transit friendly future, however, if we do not start by upholding our own policies, we cannot expect change to happen on its own.

# Here the text breaks off for crystal structures
No. 1
Entry from Alexandria: a geometry-optimized BiTe2OsI structure (PBE-GGA).

Computed properties:
- E_form (uncorrected): 1.676 eV per atom
- E above lowest polymorph: 1071 meV/atom

Unit cell a=5.961 b=5.961 c=5.998 alpha=90.00 beta=90.00 gamma=90.00
Each line ends with the local moment (μB).
Element x y z (fractional)
Te  0.500  0.000  0.000  0.23
Te  0.000  0.500  0.000  0.23
Os  0.500  0.500  0.500  3.63
I  0.000  0.000  0.500  0.08
Bi  0.000  0.000  0.000  0.03


No. 2
Entry from Alexandria: a geometry-optimized Ho4Ge6Rh7 structure (PBE-GGA).

Computed properties:
- ΔH_f (0 K): -0.956 eV per atom

Unit cell a=7.257 b=7.257 c=7.257 alpha=109.47 beta=109.47 gamma=109.47
Element x y z (fractional)
Rh  0.750  0.250  0.500
Rh  0.250  0.500  0.750
Rh  0.250  0.750  0.500
Rh  0.750  0.500  0.250
Rh  0.500  0.250  0.750
Rh  0.000  0.000  0.000
Rh  0.500  0.750  0.250
Ho  0.500  0.500  0.500
Ho  0.500  0.000  0.000
Ho  0.000  0.000  0.500
Ho  0.000  0.500  0.000
Ge  0.680  0.000  0.680
Ge  0.680  0.680  0.000
Ge  0.320  0.000  0.320
Ge  0.320  0.320  0.000
Ge  0.000  0.320  0.320
Ge  0.000  0.680  0.680


No. 3
Entry from Alexandria: a geometry-optimized KRe2Te structure (PBE-GGA).

Computed properties:
- E_form (uncorrected): 1.453 eV per atom

Unit cell a=3.747 b=3.747 c=7.233 alpha=90.00 beta=90.00 gamma=90.00
Element x y z (fractional)
Te  0.500  0.500  0.250
Re  0.000  0.000  0.405
Re  0.000  0.000  0.095
K  0.500  0.500  0.750


No. 4
Entry from Alexandria: a geometry-optimized LaPmMgNi structure (PBE-GGA).

Computed properties:
- ΔH_f (0 K): -0.039 eV per atom

Unit cell a=5.253 b=5.253 c=5.253 alpha=60.00 beta=60.00 gamma=60.00
Element x y z (fractional)
Pm  0.750  0.750  0.750
Mg  0.500  0.500  0.500
Ni  0.000  0.000  0.000
La  0.250  0.250  0.250


No. 5
Entry from Alexandria: a geometry-optimized MgRuIO2 structure (PBE-GGA).

Computed properties:
- E_form (uncorrected): 0.038 eV per atom
- E above lowest polymorph: 429 meV/atom

Unit cell a=3.939 b=3.939 c=5.962 alpha=90.00 beta=90.00 gamma=90.00
Each line ends with the local moment (μB).
Element x y z (fractional)
I  0.000  0.000  0.500  0.10
Mg  0.000  0.000  0.000  -0.01
Ru  0.500  0.500  0.500  2.29
O  0.000  0.500  0.000  0.72
O  0.500  0.000  0.000  0.72


No. 6
Entry from Alexandria: a geometry-optimized SmCd5Pt2 structure (PBE-GGA).

Computed properties:
- ΔH_f (0 K): -0.428 eV per atom

Unit cell a=4.068 b=6.951 c=6.951 alpha=76.60 beta=72.99 gamma=72.99
Element x y z (fractional)
Sm  0.000  0.000  0.000
Cd  0.652  0.535  0.160
Cd  0.000  0.500  0.500
Cd  0.652  0.160  0.535
Cd  0.348  0.465  0.840
Cd  0.348  0.840  0.465
Pt  0.283  0.217  0.217
Pt  0.717  0.783  0.783


No. 7
Entry from Alexandria: a geometry-optimized Pm4Dy2Al structure (PBE-GGA).

Computed properties:
- ΔH_f (0 K): -0.019 eV per atom

Unit cell a=3.654 b=3.654 c=19.463 alpha=84.61 beta=84.61 gamma=60.00
Element x y z (fractional)
Dy  0.809  0.809  0.573
Dy  0.191  0.191  0.427
Al  0.000  0.000  0.000

The proposed site is less that ¼ of a mile from a major transit hub for the City’s south area. Immediately to the east and south are existing and future planned residential units.

The City Planning & Design Commission placed several conditions of approval on the two adjacent drive through restaurants to preserve the site’s walkable and bikeable characteristics. This was done in order to maintain the development’s transit oriented nature. If this was the intent in 2017, why did Planning & Design Commission make the argument that the site did not “feel like a TOD” in response to the car wash?

The original Planned Unit Development (PUD) guidelines stressed convenient pedestrian access through the site. The development as approved at Planning & Design Commission differs significantly from the original PUD guidelines and treats pedestrian travel as an afterthought. Access across the site to residential areas requires 10 changes in the direction of travel and several drive aisle crossings.

There are two other car wash facilities within .5 miles of the project site. Is a third carwash within a major TOD site really the best use for this parcel? Did the opposition of dozens of HEAL Zone residents to the drive-through restaurants not indicate to the Commission that this type of use was not supported by the community?

According to the City, the Planning & Design Commission’s charge is to approve, conditionally approve, or deny development projects based on the urban design program. It is unclear where the Planning & Design Commission has the authority to approve projects based on how long a parcel has sat vacant.